=====
# MgCoPbO4

MgCoPbO4 after structural relaxation (PBE with a Hubbard U, Alexandria).

* density: 6.56 g/cm3
* symmetry: Imma
* M_tot: 5.97 μB/cell
* final energy: -0.2111 Ha/atom

abc: 6.3203 6.3203 6.3203
angles: 121.12 118.16 90.64
Last column: nearest neighbours and their distance in Å.
Fractional positions:
Mg 0.3845 0.1345 0.2500  4 O 2.02-2.06
Mg 0.6155 0.8655 0.7500  4 O 2.02-2.06
Co 0.0000 0.0000 0.5000  6 O 2.16-2.17
Co 0.0000 0.5000 0.0000  6 O 2.16-2.17
Pb 0.0000 0.5000 0.5000  6 O 2.17-2.23
Pb 0.5000 0.5000 0.0000  6 O 2.17-2.23
O 0.2239 0.7435 0.4803  1 Mg 2.06, 2 Co 2.16, 1 Pb 2.17
O 0.2368 0.2565 0.9803  1 Mg 2.06, 2 Co 2.16, 1 Pb 2.17
O 0.2436 0.2484 0.5048  1 Mg 2.02, 1 Co 2.17, 2 Pb 2.23
O 0.2436 0.7387 0.9952  1 Mg 2.02, 1 Co 2.17, 2 Pb 2.23
O 0.7564 0.2613 0.0048  1 Mg 2.02, 1 Co 2.17, 2 Pb 2.23
O 0.7564 0.7516 0.4952  1 Mg 2.02, 1 Co 2.17, 2 Pb 2.23
O 0.7632 0.7435 0.0197  1 Mg 2.06, 2 Co 2.16, 1 Pb 2.17
=====
Set down the listing earlier on with every line break kept.
# MgCoPbO4

MgCoPbO4 after structural relaxation (PBE with a Hubbard U, Alexandria).

* density: 6.56 g/cm3
* symmetry: Imma
* M_tot: 5.97 μB/cell
* final energy: -0.2111 Ha/atom

abc: 6.3203 6.3203 6.3203
angles: 121.12 118.16 90.64
Last column: nearest neighbours and their distance in Å.
Fractional positions:
Mg 0.3845 0.1345 0.2500  4 O 2.02-2.06
Mg 0.6155 0.8655 0.7500  4 O 2.02-2.06
Co 0.0000 0.0000 0.5000  6 O 2.16-2.17
Co 0.0000 0.5000 0.0000  6 O 2.16-2.17
Pb 0.0000 0.5000 0.5000  6 O 2.17-2.23
Pb 0.5000 0.5000 0.0000  6 O 2.17-2.23
O 0.2239 0.7435 0.4803  1 Mg 2.06, 2 Co 2.16, 1 Pb 2.17
O 0.2368 0.2565 0.9803  1 Mg 2.06, 2 Co 2.16, 1 Pb 2.17
O 0.2436 0.2484 0.5048  1 Mg 2.02, 1 Co 2.17, 2 Pb 2.23
O 0.2436 0.7387 0.9952  1 Mg 2.02, 1 Co 2.17, 2 Pb 2.23
O 0.7564 0.2613 0.0048  1 Mg 2.02, 1 Co 2.17, 2 Pb 2.23
O 0.7564 0.7516 0.4952  1 Mg 2.02, 1 Co 2.17, 2 Pb 2.23
O 0.7632 0.7435 0.0197  1 Mg 2.06, 2 Co 2.16, 1 Pb 2.17